[Excerpt]
┌──
# 1
{
  "formula": "CH3NS2",
  "method": "ωB97M-V with the def2-TZVPD basis set",
  "elements": ["S", "C", "N", "S", "H", "H", "H"],
  "positions_angstrom": [[1.78458, 2.12236, 0.58883], [0.91621, 0.94956, -0.16581], [0.19922, 0.16110, 0.59136], [-0.58296, -1.75588, 0.35263], [0.83006, 0.87658, -1.24109], [0.36625, 0.20534, 1.58981], [-1.46229, -1.31956, -0.55409]],
  "forces_ev_per_angstrom": [[0.2, 0.2, -0.3], [0.7, 0.8, -0.2], [-2.3, -4.1, 0.9], [1.5, 3.2, -0.1], [0.0, -0.3, -0.1], [0.0, 0.2, -0.1], [-0.1, 0.0, 0.0]],
  "mulliken_charge": [-0.35, 0.04, -0.40, -0.05, 0.30, 0.30, 0.17],
  "gap_ev": 7.35,
  "homo_energy_ev": -8.68,
  "total_energy_ev": -24244.234,
  "fmax_ev_per_a": 4.8,
  "relative_energy_kj_mol": 181.5,
  "smiles": "S=CNS"
}

# 2
{
  "formula": "C8H14NOS",
  "method": "ωB97M-V with the def2-TZVPD basis set",
  "elements": ["C", "C", "C", "S", "C", "C", "N", "C", "C", "C", "O", "H", "H", "H", "H", "H", "H", "H", "H", "H", "H", "H", "H", "H", "H"],
  "positions_angstrom": [[-2.49826, -2.19413, -0.19987], [-2.14512, -1.01098, -0.73534], [-1.50283, 0.15755, 0.01566], [-1.97261, 1.85219, -0.32674], [-0.96100, 0.04595, 1.43281], [0.02679, 0.05302, 0.22205], [0.84531, 1.27372, 0.00288], [1.74124, 1.56590, 1.11855], [0.67891, -1.35361, -0.02177], [0.60336, -1.68529, -1.43048], [0.93792, -2.11763, 0.86994], [-2.78261, -3.01465, -0.84708], [-2.42003, -2.38010, 0.91077], [-2.51144, -0.65711, -1.65857], [-2.01895, 2.21216, 1.02392], [-1.01215, 1.02330, 2.09213], [-1.07450, -0.83108, 1.91260], [1.43930, 1.30573, -0.93219], [0.13873, 2.07447, -0.21810], [1.47595, 1.07041, 2.00115], [2.73768, 1.24958, 0.85077], [1.88132, 2.60930, 1.35096], [-0.44196, -2.16030, -1.65462], [1.30742, -2.41409, -1.78495], [0.80001, -0.72096, -1.95300]],
  "forces_ev_per_angstrom": [[0.8, 1.0, 0.9], [-1.2, 0.7, 2.4], [0.7, -0.6, 0.6], [-0.8, 0.6, 0.7], [1.1, 4.9, -1.8], [-0.5, -0.7, 1.9], [0.1, 1.0, -2.7], [1.9, 0.8, -0.2], [-1.0, -0.1, 0.8], [-0.6, -0.3, -2.1], [0.1, 0.8, 0.0], [-0.5, 0.1, 0.2], [0.2, 0.0, -1.5], [0.1, -0.4, -1.6], [-0.2, -0.1, -1.5], [0.1, -2.4, -1.3], [-0.1, -2.8, 1.7], [-1.5, -0.7, 2.2], [0.5, -1.1, 0.7], [-0.7, -0.8, 1.1], [0.3, -0.4, -0.1], [-0.6, 0.6, -0.3], [2.0, 1.4, 0.3], [0.6, -0.4, 0.1], [-0.6, -0.8, -0.4]],
  "mulliken_charge": [-0.53, -0.92, 1.49, -0.26, -1.55, -0.33, 0.26, -0.89, 0.57, -0.97, -0.48, 0.34, 0.19, 0.50, 0.22, 0.18, 0.34, 0.44, 0.41, 0.35, 0.36, 0.37, 0.21, 0.40, 0.31],
  "gap_ev": 10.08,
  "homo_energy_ev": -13.45,
  "total_energy_ev": -22885.845,
  "charge": 1,
  "fmax_ev_per_a": 5.3,
  "relative_energy_kj_mol": 206.5,
  "smiles": "C=C[C@@]1(S)C[C@@]1([NH2+]C)C(C)=O"
}

# 3
{
  "formula": "C5H5Br2NO2",
  "method": "ωB97M-V with the def2-TZVPD basis set",
  "elements": ["C", "C", "C", "C", "C", "N", "O", "O", "Br", "Br", "H", "H", "H", "H", "H"],
  "positions_angstrom": [[-2.06128, 1.63761, -1.81724], [-2.46805, 0.46171, -2.29527], [-1.00070, 1.84535, -0.88751], [-1.14107, -0.40113, 0.10619], [1.01657, 0.63994, -0.10018], [-0.41783, 0.60387, -0.27270], [-0.48426, 2.87243, -0.53872], [-0.59111, -1.50941, 0.56455], [-2.74287, 3.45261, -2.41645], [-3.91661, 0.30505, -3.44771], [-2.21321, -0.33034, -0.04573], [1.34157, -0.20417, 0.50068], [1.49582, 0.60765, -1.07828], [1.28156, 1.58744, 0.37121], [-1.24939, -2.18837, 0.76318]],
  "forces_ev_per_angstrom": [[-1.0, 1.1, -1.0], [0.5, -0.6, 0.9], [0.3, 0.4, 0.3], [-0.2, 0.2, -0.9], [0.7, 0.1, 0.1], [-0.4, -0.7, 0.5], [0.0, -0.5, 0.0], [0.1, 0.5, -0.1], [0.2, -0.8, 0.2], [-0.1, 0.2, -0.2], [0.1, -0.1, 0.1], [0.0, 0.1, 0.0], [0.0, -0.1, 0.0], [-0.1, -0.2, 0.0], [-0.1, 0.2, 0.0]],
  "mulliken_charge": [0.16, -0.67, 0.45, 0.32, -0.92, 0.19, -0.53, -0.45, -0.21, -0.12, 0.37, 0.35, 0.33, 0.33, 0.40],
  "gap_ev": 7.20,
  "homo_energy_ev": -7.70,
  "total_energy_ev": -150932.816,
  "fmax_ev_per_a": 1.8,
  "relative_energy_kj_mol": 77.0
}

# 4
{
  "formula": "C3H6ClNS",
  "method": "ωB97M-V with the def2-TZVPD basis set",
└──
[Brief]
The reader should find the line further up that holds "206.5,", then quote that line and all lines after it there.
[Worked solution]
  "relative_energy_kj_mol": 206.5,
  "smiles": "C=C[C@@]1(S)C[C@@]1([NH2+]C)C(C)=O"
}

# 3
{
  "formula": "C5H5Br2NO2",
  "method": "ωB97M-V with the def2-TZVPD basis set",
  "elements": ["C", "C", "C", "C", "C", "N", "O", "O", "Br", "Br", "H", "H", "H", "H", "H"],
  "positions_angstrom": [[-2.06128, 1.63761, -1.81724], [-2.46805, 0.46171, -2.29527], [-1.00070, 1.84535, -0.88751], [-1.14107, -0.40113, 0.10619], [1.01657, 0.63994, -0.10018], [-0.41783, 0.60387, -0.27270], [-0.48426, 2.87243, -0.53872], [-0.59111, -1.50941, 0.56455], [-2.74287, 3.45261, -2.41645], [-3.91661, 0.30505, -3.44771], [-2.21321, -0.33034, -0.04573], [1.34157, -0.20417, 0.50068], [1.49582, 0.60765, -1.07828], [1.28156, 1.58744, 0.37121], [-1.24939, -2.18837, 0.76318]],
  "forces_ev_per_angstrom": [[-1.0, 1.1, -1.0], [0.5, -0.6, 0.9], [0.3, 0.4, 0.3], [-0.2, 0.2, -0.9], [0.7, 0.1, 0.1], [-0.4, -0.7, 0.5], [0.0, -0.5, 0.0], [0.1, 0.5, -0.1], [0.2, -0.8, 0.2], [-0.1, 0.2, -0.2], [0.1, -0.1, 0.1], [0.0, 0.1, 0.0], [0.0, -0.1, 0.0], [-0.1, -0.2, 0.0], [-0.1, 0.2, 0.0]],
  "mulliken_charge": [0.16, -0.67, 0.45, 0.32, -0.92, 0.19, -0.53, -0.45, -0.21, -0.12, 0.37, 0.35, 0.33, 0.33, 0.40],
  "gap_ev": 7.20,
  "homo_energy_ev": -7.70,
  "total_energy_ev": -150932.816,
  "fmax_ev_per_a": 1.8,
  "relative_energy_kj_mol": 77.0
}

# 4
{
  "formula": "C3H6ClNS",
  "method": "ωB97M-V with the def2-TZVPD basis set",